
Speech by Archbishop GAID on the occasion of the First Anniversary of the Association

____________
Crystalline KSi2H14C4N at its relaxed geometry. Source: Materials Project, functional PBE.

Cell lengths 6.1403, 15.6560, 11.7637 Å; angles 90.00, 90.00, 90.00 degrees
Atoms (fractional coordinates):
H  0.8711  0.1516  0.8697
H  0.9792  0.0715  0.1013
H  0.2930  0.0742  0.2823
K  0.6570  0.2500  0.3485
C  0.3060  0.0681  0.3753
H  0.4792  0.0715  0.3987
H  0.2499  0.9967  0.8977
H  0.5208  0.5715  0.6013
H  0.4061  0.3778  0.0597
C  0.2018  0.3653  0.6101
Si  0.1426  0.1514  0.4541
H  0.9792  0.4285  0.1013
H  0.5208  0.9285  0.6013
H  0.3205  0.5668  0.1313
H  0.6289  0.6516  0.3697
H  0.9056  0.6722  0.3344
C  0.7018  0.1347  0.8899
C  0.2982  0.6347  0.1101
H  0.4792  0.4285  0.3987
Si  0.6426  0.3486  0.0459
Si  0.3574  0.8486  0.9541
H  0.1289  0.6516  0.1303
H  0.9061  0.1222  0.4403
H  0.4056  0.6722  0.1656
C  0.1940  0.5681  0.8753
H  0.0208  0.5715  0.8987
H  0.7499  0.9967  0.6023
H  0.7501  0.0033  0.1023
H  0.2070  0.9258  0.7823
Si  0.8574  0.8486  0.5459
H  0.7501  0.4967  0.1023
H  0.5939  0.6222  0.9403
H  0.1289  0.8484  0.1303
H  0.7930  0.0742  0.2177
H  0.5939  0.8778  0.9403
K  0.3430  0.7500  0.6515
H  0.4056  0.8278  0.1656
H  0.8205  0.9332  0.3687
H  0.3711  0.1516  0.6303
H  0.0939  0.8778  0.5597
H  0.6289  0.8484  0.3697
N  0.1823  0.2500  0.3977
H  0.2501  0.4967  0.3977
H  0.0944  0.3278  0.6656
H  0.7070  0.9258  0.7177
H  0.6795  0.4332  0.8687
H  0.3205  0.9332  0.1313
H  0.7930  0.4258  0.2177
C  0.3060  0.4319  0.3753
C  0.7982  0.8653  0.3899
H  0.1795  0.4332  0.6313
N  0.6823  0.2500  0.1023
N  0.3177  0.7500  0.8977
Si  0.8574  0.6514  0.5459
H  0.9061  0.3778  0.4403
C  0.7018  0.3653  0.8899
H  0.7499  0.5033  0.6023
K  0.8430  0.7500  0.8485
H  0.2501  0.0033  0.3977
Si  0.1426  0.3486  0.4541
H  0.2070  0.5742  0.7823
H  0.8205  0.5668  0.3687
C  0.1940  0.9319  0.8753
H  0.5944  0.3278  0.8344
N  0.8177  0.7500  0.6023
C  0.6940  0.9319  0.6247
H  0.5944  0.1722  0.8344
C  0.2982  0.8653  0.1101
C  0.2018  0.1347  0.6101
H  0.8711  0.3484  0.8697
H  0.7070  0.5742  0.7177
C  0.7982  0.6347  0.3899
Si  0.6426  0.1514  0.0459
C  0.6940  0.5681  0.6247
H  0.6795  0.0668  0.8687
C  0.8060  0.4319  0.1247
H  0.0939  0.6222  0.5597
H  0.9056  0.8278  0.3344
H  0.2930  0.4258  0.2823
K  0.1570  0.2500  0.1515
H  0.2499  0.5033  0.8977
H  0.4061  0.1222  0.0597
H  0.3711  0.3484  0.6303
H  0.0944  0.1722  0.6656
Si  0.3574  0.6514  0.9541
H  0.1795  0.0668  0.6313
C  0.8060  0.0681  0.1247
H  0.0208  0.9285  0.8987

Calculated values
The calculation puts the energy relative to the elements at -287 meV/atom. The total energy is -5.03 eV per atom. The value obtained for the spin magnetization is 0.081 Bohr magnetons per cell.

Crystalline RbNiC2BrN2 at its relaxed geometry. Source: Materials Project, functional PBE.

Cell lengths 7.8824, 7.8824, 7.8824 Å; angles 126.50, 126.50, 79.06 degrees
Atoms (fractional coordinates):
N  0.6996  0.3004  0.0000
C  0.1836  0.8164  0.0000
Br  0.2767  0.2767  0.0000
____________



July 22, 2021

Materials data that have nothing to do with the article >
[1]
First-principles (meta-GGA r2SCAN) data for crystalline CsO2 at its relaxed geometry, as listed in the Materials Project database.

Lattice parameters (Å, degrees): 4.1713 4.5955 7.3396 90.00 89.97 90.00
Last column: nearest neighbours and their distance in Å.
Positions (direct):
O 0.4991 0.5000 0.9086  1 O 1.34
O 0.5009 0.5000 0.0914  1 O 1.34
O 0.9991 0.0000 0.5914  1 O 1.34
O 0.0009 0.0000 0.4086  1 O 1.34
Cs 0.5000 0.5000 0.5000  10 O 3.00-3.18
Cs 0.0000 0.0000 0.0000  10 O 3.00-3.18

Summary:
Volume (Å³ per cell): 140.7
ΔH_f (0 K) (meV/atom): -957
VASP energy (eV/atom): -13.309
Magnetization (μB per atom): 0.33
Offset from the most stable computed form (eV/atom): 0.000


[2]
First-principles (meta-GGA r2SCAN) data for crystalline SrPuO4 at its relaxed geometry, as listed in the Materials Project database.

Lattice parameters (Å, degrees): 6.5123 6.5123 6.5123 35.20 35.20 35.20
Last column: nearest neighbours and their distance in Å.
Positions (direct):
Sr 0.0000 0.0000 0.0000  8 O 2.52-2.59
Pu 0.5000 0.5000 0.5000  2 O 1.95
O 0.1413 0.1413 0.1413  3 Pu 2.32, 3 O 2.46, 1 Sr 2.59
O 0.3932 0.3932 0.3932  1 Pu 1.95
O 0.6068 0.6068 0.6068  1 Pu 1.95
O 0.8587 0.8587 0.8587  3 Pu 2.32, 3 O 2.46, 1 Sr 2.59

Summary:
Volume (Å³ per cell): 82.0
ΔH_f (0 K) (meV/atom): -3000
VASP energy (eV/atom): -23.899
Crystal system: trigonal
Magnetization (μB per atom): 0.33
Space-group type: No. 166


[3]
First-principles (meta-GGA r2SCAN) data for crystalline Tl3AsS3 at its relaxed geometry, as listed in the Materials Project database.

Lattice parameters (Å, degrees): 6.0914 6.0914 6.0914 105.89 105.89 105.89
Last column: nearest neighbours and their distance in Å.
Positions (direct):
Tl 0.0719 0.4640 0.4640  3 S 3.05
Tl 0.4640 0.0719 0.4640  3 S 3.05
Tl 0.4640 0.4640 0.0719  3 S 3.05
As 0.9012 0.9012 0.9012  3 S 2.26
S 0.5213 0.8838 0.8838  1 As 2.26
S 0.8838 0.5213 0.8838  1 As 2.26
S 0.8838 0.8838 0.5213  1 As 2.26

Summary:
Volume (Å³ per cell): 193.6
ΔH_f (0 K) (meV/atom): -386
VASP energy (eV/atom): -28.721
Crystal system: trigonal
Magnetization (μB per atom): 0.00
Space-group type: No. 160
Offset from the most stable computed form (eV/atom): 0.006


[4]
First-principles (meta-GGA r2SCAN) data for crystalline Zr2Co at its relaxed geometry, as listed in the Materials Project database.

Lattice parameters (Å, degrees): 5.2467 5.2467 5.2467 106.32 106.32 115.97
Last column: nearest neighbours and their distance in Å.
Positions (direct):
Zr 0.1753 0.6753 0.8506  4 Co 2.71
Zr 0.3247 0.1753 0.5000  4 Co 2.71
Zr 0.6753 0.8247 0.5000  4 Co 2.71
Zr 0.8247 0.3247 0.1494  4 Co 2.71
Co 0.2500 0.2500 0.0000  8 Zr 2.71, 2 Co 2.78
Co 0.7500 0.7500 0.0000  8 Zr 2.71, 2 Co 2.78

Summary:
Volume (Å³ per cell): 110.1
ΔH_f (0 K) (meV/atom): -177
VASP energy (eV/atom): -19.755
Crystal system: tetragonal
Magnetization (μB per atom): 0.00
Space-group type: No. 140


[5]

Dear Excellency Omar Obaid Al-Shamsi

UAE Ambassador to Italy

Most Reverend Eminences, Excellencies,



July 22, 2021

Dear Excellency Omar Obaid Al-Shamsi

UAE Ambassador to Italy

Most Reverend Eminences, Excellencies,

Dear Members and Friends

Distinguished Guests and Supporters of our Association,

Faced with the suffering of children and their often unheard and stifled cries, we have decided not to remain silent. And to place the cure for their suffering at the center of our thoughts.

Every girl and boy has the sacred right to have a family, a home and a real opportunity. They have the right to have the opportunity to receive treatment when they fall ill, to receive education, training but above all love and attention, to feel loved and defended.

No child should be alone. No child should ask himself: what did I do to find myself living on the streets? What fault do I have for risking hunger, nudity, disease, crime, sexual exploitation or child labor every day?

It is true, we cannot welcome all needy children everywhere, but it is equally true that we cannot remain passive. The proverb says "he who is silent consents". Silence in the face of injustices is complicity.

In this sense, we took a cue from the concept of "Human Fraternity" - much loved by the Holy Father - which sees us called to support every person, especially the neediest and poorest children, bringing a hug to those who are alone in life and a gesture of concrete help to those who suffer in life. This is why our two initiatives in the New City of Cairo were born: the Orphanage and the Hospital.

A year ago we were here and we had a big (pharaonic) dream; today we are here to say, indeed to demonstrate, that that dream is becoming a reality. Despite the Pandemic and the lockdown, the works never stopped. We have reached 60-65% of the planned jobs managing to support the payment of installments, workers' wages and other expenses, budgeted and not. We did it thanks above all to those People who didn't just praise or encourage but participated concretely and materially, providing us with the essential sap for the development of our projects. 

Between two parts of the piece: materials data:
# 1
BaCaTbBiO6 GGA-PBE optimized geometry; energy above the most stable polymorph in this dataset = 0.000 eV/atom; magnetization = 0.00 μB per formula unit; energy relative to the elements = -2.803 eV per atom; symmetry = P222 (16)
1.0
-5.106 -6.878 0.270
5.726 -4.058 4.888
-3.792 3.091 7.009
Ba Ca Tb Bi O
4 4 4 4 24
Cartesian
0.000 0.000 0.000
-1.586 -3.923 6.084
-2.553 -3.439 0.135
2.863 -2.029 2.444
0.967 -0.484 5.948
-4.449 -1.894 3.640
0.310 -5.468 2.579
-1.896 1.545 3.505
-0.813 -1.955 3.083
-0.503 -7.404 5.653
-5.213 -3.869 6.649
0.184 -2.464 8.950
-2.353 -5.894 9.078
-2.668 -0.445 6.505
2.037 -3.977 5.528
-3.362 -5.376 3.223
-5.038 -6.725 3.371
3.379 -2.354 5.999
-1.524 1.282 5.902
-3.162 -7.894 9.062
3.410 -5.293 6.495
-4.361 0.439 5.555
-4.475 -4.271 1.778
-0.919 -6.567 10.507
-3.289 0.466 8.356
-2.459 -6.486 1.613
3.019 -4.401 3.657
-3.616 -5.270 10.708
-1.622 -4.098 3.088
0.671 -5.558 4.973
-3.764 -2.179 7.190
-1.631 -3.856 9.083
0.733 -2.503 4.666
-0.849 -1.224 7.339
-2.417 -6.556 4.749
-3.813 -5.408 7.580
-2.322 -1.418 4.641
-4.206 -4.050 4.662
1.077 -3.831 7.424
-0.894 -6.393 7.607

***

# 2
KPrS2O8 GGA-PBE optimized geometry; magnetization = 0.00 μB per formula unit; energy relative to the elements = -2.539 eV per atom; symmetry = P-1 (2)
1.0
-1.328 -1.550 5.109
6.612 -2.124 1.288
2.499 7.623 3.185
K Pr S O
2 2 4 16
Cartesian
4.770 0.618 3.102
3.013 3.332 6.480
0.634 -0.076 5.037
7.150 4.025 4.545
3.792 -2.251 4.734
3.991 6.200 4.848
1.878 2.513 2.908
5.905 1.436 6.674
1.618 3.892 3.359
0.723 1.917 2.169
7.060 2.033 7.413
6.165 0.057 6.223
3.271 6.222 6.158
5.298 4.265 7.984
2.486 -0.316 1.598
4.754 1.436 7.645
3.135 -0.935 4.904
3.029 2.513 1.937
2.223 1.657 4.083
4.773 -2.495 5.845
3.011 6.445 3.737
4.648 4.884 4.678
4.513 -2.273 3.424
5.561 2.293 5.499

***

# 3
SiAg8S2O4 GGA-PBE optimized geometry; magnetization = 0.00 μB per formula unit; energy relative to the elements = -0.547 eV per atom; symmetry = I4_1/amd (141)
1.0
-4.360 -9.106 4.750
2.957 -3.738 10.088
-3.065 9.371 -5.222
Si Ag S O
2 16 4 8
Cartesian
-4.063 -3.078 3.473
0.000 0.000 0.000
-0.261 0.925 4.618
-3.854 -1.162 1.259
1.092 -1.566 5.270
-0.209 -1.917 2.215
-4.272 -4.995 5.688
1.049 0.672 7.203
0.752 -5.356 8.479
-0.845 -7.741 8.943
-2.198 -5.250 8.292
-2.155 -7.488 6.359
-1.193 -10.927 12.623
-1.901 0.777 7.015
-0.549 -1.714 7.667
-2.270 1.778 1.324
-0.557 -5.102 5.895
-1.858 -1.461 5.082
-0.080 2.582 2.704
-1.026 -9.398 10.857
-0.730 -3.371 9.581
-0.376 -3.446 3.981
-3.968 -3.334 1.838
-4.005 -1.421 3.490
-5.400 -3.734 4.202
-2.879 -3.824 4.363
-0.095 0.256 1.635
-0.166 3.976 4.849
1.773 -2.992 9.199
-3.131 -2.817 8.887

***

# 4
Sr11Si2N10 GGA-PBE optimized geometry; magnetization = 0.02 μB per formula unit; energy relative to the elements = -0.661 eV per atom; symmetry = P4_2/mnm (136)
1.0
-10.344 -5.057 -11.154
10.710 -10.817 -5.029
-1.437 -2.587 2.505
Sr Si N
22 4 20
Cartesian
-0.536 -9.230 -6.839
0.000 0.000 0.000
-2.321 -14.869 -13.686
So much for the materials data:

As you will well understand, words of encouragement are well accepted and appreciated but unfortunately they are not enough to complete these works. All the more reason considering the difficulties that arose with the pandemic, which in any case didn't stop us - around twenty-nine trips, between national and international meetings, to follow up the works, to seek funds and give concrete realization to the project.

And it is precisely on the pandemic that I would like to reflect. It has brought us all to our knees, much or little it has taken something away from each of us, but it has also made us understand that no one saves themselves. And if the pandemic has damaged the well-being of many people and families who until recently led a normal or wealthy life, let's imagine how much further damage it has caused to those who already had little or nothing, such as orphans or children born poor!

For this reason, our Association has turned to everyone to establish alliances, open horizons, ask for help, cultivate friendships, start collaborations. We turned to the world of trade unions - CISL for transport, CISL for doctors; to the world of agriculture (Confagricoltura); to the pharmaceutical and healthcare world; to charitable associations and foundations; to the sports world; to Entrepreneurs, Artists and Mass Media and to every man of good will. Your presence and participation is proof of this.

Now, dear and illustrious Guests,

an image is worth a thousand words, I will limit myself to showing you a video entitled "one year of life" which will tell us about the work carried out during the first year of our Association and you will see that, despite the pandemic, an authentic miracle has been accomplished, clear sign that the Christian and charitable work of men of good will is always tangible.

Screening of the video "one year of life".
I would like to extend a heartfelt thanks to all the people who have concretely committed themselves to dedicating their time and resources to our Association.

On your behalf I would like to thank:

Mons. Gianni TONI (Vice-President) and the entire community of my parish of Santa Domitilla for the moral and material support they are generously offering to our Association!
Dr. Pierluigi FALONI, the Director of the FR and RP Committee and all the members of the Committee for the excellent work done in recent months and for the organization of this evening together with the very kind members of this Embassy.
I would like to address a heartfelt thanks to Mr. Alberto Zambon (Europubblicità) both for all the advertising and promotional support, and for the panels and the gift package that will be delivered to all of you.
Heartfelt thanks also to His Eminence Card. Domenico CALCAGNO, to Mons. Fabián PEDACCHIO, to His Highness Prince Mariano Hugo of WINDISCH-GRAETZ, to Dr. Stefano ERBANI, to Dr. Giani DOMENICO, to Prof. Alfredo PONTECORVI, to Dr. Alessandro CASSINIS, Dr. Massimiliano RAPONI, Dr. Salvatore APOSTOLICO, Dr. Alvaro MASCIONI, Dr. Daniela CACCIOTTI, Eng. Alfio GENTILI, Simone LONGARINI, Marco MEZZAROMA, Dr. Maurizio CASTELLI, Dr. Elio COLALUCA and all the members of the Association ... it would not have been possible to achieve what you saw in the video without their help!
A dutiful thanks to dear Dr. Mariella Enoc who guides the committee of the Bambino Gesù Hospital in Cairo with prudence, competence and generosity. Today I announce that construction work will begin next month!
Thanks to the Foundation: Gaudium Et Spes: Dr. Oscar, Dr. Rafael
I would like to warmly thank Claudia Conte for having offered her professionalism, possibilities and friendships free of charge for this evening.
In the name of all of you, I thank the talented Annalisa Minetti for having cheered us up with her presence and with her stupendous voice which will conclude this evening.
A heartfelt thanks to all of you dear and illustrious guests for agreeing to share this evening and this dream with us. Your presence honors and encourages us!
At the end:
On behalf of all of you, I would like to thank Ambassador Omar Obaid Al-Shamsi, Ambassador of the United Arab Emirates to Italy, for welcoming us back to his home (which today we feel even more like our home), namely the Diplomatic Seat of the Country that hosted the signing of the Document on Human Fraternity. The country that spreads and defends the culture of tolerance and brotherhood.

Mr. Ambassador, please convey our gratitude to His Highness Sheikh Mohammed Bin Zayed Al Nahyan, Crown Prince and Minister of Defense of Abu Dhabi, and His Highness Sheikh Abdullah Bin Zayed Al Nahyan, Minister of Foreign Affairs and International Cooperation of the Emirates United Arab.

Dear and illustrious Guests, now allow me to share with you another video entitled: "Not gifts but tiles!".

In English and Italian

I conclude, dear and illustrious Guests, with the words of Pope Francis which resound as the perfect gloss to our meeting:

“You are actors of this world, and not just spectators! I encourage you not to be afraid to face challenges, to safeguard Christian values, especially the defense of life, growth, the dignity of the person, the fight against poverty and all those small struggles we deal with on a daily basis" .

Finally, I extend my heartfelt thanks to all of you, dear guests, for your participation and together with you I ask the Lord to grant the Holy Father complete healing so that he may continue his mission as a Good Samaritan for our humanity!